### Job
Quote the contents underneath from the first line to the one with "(0.8148, 0.8775," verbatim.
### Listing
+++
# 1
Theoretical XRD peak list
Compound: Cu3B4Pb2O11
Radiation: a wavelength of 1.5418 Å
Structure: a crystal structure in the Materials Project, relaxed with GGA-PBE

Largest 10 diffraction maxima, by angle, 2θ from 10° to 90°:
2theta  I/Imax
18.55  37.4
19.50  26.1
23.43  36.0
28.13  28.3
30.05  100.0
31.52  31.0
32.20  31.8
33.36  48.5
36.82  26.6
46.33  30.0

Cell: 6.8748 4.7836 15.6771 Å, 90.00 109.20 90.00°
Element x y z (fractional)
Cu (0.0000, 0.0000, 0.0000)
Cu (0.0000, 0.0000, 0.5000)
Cu (0.2888, 0.4785, 0.4415)
Cu (0.2888, 0.5215, 0.9415)
Cu (0.7112, 0.4785, 0.0585)
Cu (0.7112, 0.5215, 0.5585)
B (0.1390, 0.0114, 0.8392)
B (0.1390, 0.9886, 0.3392)
B (0.4641, 0.0546, 0.5967)
B (0.4641, 0.9454, 0.0967)
B (0.5359, 0.0546, 0.9033)
B (0.5359, 0.9454, 0.4033)
B (0.8610, 0.0114, 0.6608)
B (0.8610, 0.9886, 0.1608)
Pb (0.2084, 0.4211, 0.1920)
Pb (0.2084, 0.5789, 0.6920)
Pb (0.7916, 0.4211, 0.3080)
Pb (0.7916, 0.5789, 0.8080)
O (0.0000, 0.1100, 0.2500)
O (0.0000, 0.8900, 0.7500)
O (0.0892, 0.1749, 0.4077)
O (0.0892, 0.8251, 0.9077)
O (0.0991, 0.3011, 0.8492)
O (0.0991, 0.6989, 0.3492)
O (0.2787, 0.0674, 0.0898)
O (0.2787, 0.9326, 0.5898)
O (0.3542, 0.0518, 0.3412)
O (0.3542, 0.9482, 0.8412)
O (0.4734, 0.2904, 0.5477)
O (0.4734, 0.7096, 0.0477)
O (0.5266, 0.2904, 0.9523)
O (0.5266, 0.7096, 0.4523)
O (0.6458, 0.0518, 0.1588)
O (0.6458, 0.9482, 0.6588)
O (0.7213, 0.0674, 0.4102)
O (0.7213, 0.9326, 0.9102)
O (0.9009, 0.3011, 0.6508)
O (0.9009, 0.6989, 0.1508)
O (0.9108, 0.1749, 0.0923)
O (0.9108, 0.8251, 0.5923)

---

# 2
Theoretical XRD peak list
Compound: SrAl2Si2O8
Radiation: a wavelength of 1.5418 Å
Structure: a crystal structure in the Materials Project, relaxed with GGA-PBE

Largest 10 diffraction maxima, by angle, 2θ from 10° to 90°:
2theta  I/Imax
18.41  28.9
18.70  100.0
24.03  19.8
25.40  16.8
29.16  23.3
29.54  18.4
29.97  22.1
30.09  17.1
34.87  27.0
43.69  15.2

Cell: 9.4981 9.4981 10.5448 Å, 101.40 101.40 80.30°
Element x y z (fractional)
Sr (0.0537, 0.3186, 0.2241)
Sr (0.3186, 0.0537, 0.7241)
Sr (0.6814, 0.9463, 0.2759)
Sr (0.9463, 0.6814, 0.7759)
Al (0.0585, 0.1107, 0.8900)
Al (0.1107, 0.0585, 0.3900)
Al (0.2880, 0.5569, 0.4254)
Al (0.4431, 0.7120, 0.0746)
Al (0.5569, 0.2880, 0.9254)
Al (0.7120, 0.4431, 0.5746)
Al (0.8893, 0.9415, 0.6100)
Al (0.9415, 0.8893, 0.1100)
Si (0.0113, 0.7702, 0.3749)
Si (0.2298, 0.9887, 0.1251)
Si (0.2535, 0.4573, 0.9214)
Si (0.4573, 0.2535, 0.4214)
Si (0.5427, 0.7465, 0.5786)
Si (0.7465, 0.5427, 0.0786)
Si (0.7702, 0.0113, 0.8749)
Si (0.9887, 0.2298, 0.6251)
O (0.0693, 0.8667, 0.6820)
O (0.0718, 0.2176, 0.7761)
O (0.1040, 0.6087, 0.3873)
O (0.1160, 0.8704, 0.0775)
O (0.1225, 0.1852, 0.5379)
O (0.1296, 0.8840, 0.4225)
O (0.1333, 0.9307, 0.8180)
O (0.1632, 0.5317, 0.8030)
O (0.1852, 0.1225, 0.0379)
O (0.2176, 0.0718, 0.2761)
O (0.3103, 0.3718, 0.3748)
O (0.3515, 0.5679, 0.0339)
O (0.3718, 0.3103, 0.8748)
O (0.3913, 0.8960, 0.1127)
O (0.4321, 0.6485, 0.4661)
O (0.4683, 0.8368, 0.6970)
O (0.5317, 0.1632, 0.3030)
O (0.5679, 0.3515, 0.5339)
O (0.6087, 0.1040, 0.8873)
O (0.6282, 0.6897, 0.1252)
O (0.6485, 0.4321, 0.9661)
O (0.6897, 0.6282, 0.6252)
O (0.7824, 0.9282, 0.7239)
O (0.8148, 0.8775, 0.9621)
O (0.8368, 0.4683, 0.1970)
O (0.8667, 0.0693, 0.1820)
O (0.8704, 0.1160, 0.5775)
O (0.8775, 0.8148, 0.4621)
O (0.8840, 0.1296, 0.9225)
O (0.8960, 0.3913, 0.6127)
O (0.9282, 0.7824, 0.2239)
O (0.9307, 0.1333, 0.3180)

---

# 3
Theoretical XRD peak list
Compound: Bi4Te3N2
Radiation: a wavelength of 1.5418 Å
Structure: a crystal structure in the Materials Project, relaxed with GGA-PBE

Largest 10 diffraction maxima, by angle, 2θ from 10° to 90°:
2theta  I/Imax
23.23  39.2
24.59  24.7
26.73  42.0
26.95  43.5
29.41  100.0
34.79  56.0
35.59  34.2
35.87  51.1
43.61  28.4
53.87  24.4

Cell: 7.6587 16.4340 4.1506 Å, 90.00 90.00 90.00°
Element x y z (fractional)
Bi (0.1931, 0.0612, 0.0000)
Bi (0.2045, 0.8571, 0.5000)
Bi (0.2955, 0.3571, 0.0000)
Bi (0.3069, 0.5612, 0.5000)
Bi (0.6931, 0.4388, 0.5000)
+++
### Result
# 1
Theoretical XRD peak list
Compound: Cu3B4Pb2O11
Radiation: a wavelength of 1.5418 Å
Structure: a crystal structure in the Materials Project, relaxed with GGA-PBE

Largest 10 diffraction maxima, by angle, 2θ from 10° to 90°:
2theta  I/Imax
18.55  37.4
19.50  26.1
23.43  36.0
28.13  28.3
30.05  100.0
31.52  31.0
32.20  31.8
33.36  48.5
36.82  26.6
46.33  30.0

Cell: 6.8748 4.7836 15.6771 Å, 90.00 109.20 90.00°
Element x y z (fractional)
Cu (0.0000, 0.0000, 0.0000)
Cu (0.0000, 0.0000, 0.5000)
Cu (0.2888, 0.4785, 0.4415)
Cu (0.2888, 0.5215, 0.9415)
Cu (0.7112, 0.4785, 0.0585)
Cu (0.7112, 0.5215, 0.5585)
B (0.1390, 0.0114, 0.8392)
B (0.1390, 0.9886, 0.3392)
B (0.4641, 0.0546, 0.5967)
B (0.4641, 0.9454, 0.0967)
B (0.5359, 0.0546, 0.9033)
B (0.5359, 0.9454, 0.4033)
B (0.8610, 0.0114, 0.6608)
B (0.8610, 0.9886, 0.1608)
Pb (0.2084, 0.4211, 0.1920)
Pb (0.2084, 0.5789, 0.6920)
Pb (0.7916, 0.4211, 0.3080)
Pb (0.7916, 0.5789, 0.8080)
O (0.0000, 0.1100, 0.2500)
O (0.0000, 0.8900, 0.7500)
O (0.0892, 0.1749, 0.4077)
O (0.0892, 0.8251, 0.9077)
O (0.0991, 0.3011, 0.8492)
O (0.0991, 0.6989, 0.3492)
O (0.2787, 0.0674, 0.0898)
O (0.2787, 0.9326, 0.5898)
O (0.3542, 0.0518, 0.3412)
O (0.3542, 0.9482, 0.8412)
O (0.4734, 0.2904, 0.5477)
O (0.4734, 0.7096, 0.0477)
O (0.5266, 0.2904, 0.9523)
O (0.5266, 0.7096, 0.4523)
O (0.6458, 0.0518, 0.1588)
O (0.6458, 0.9482, 0.6588)
O (0.7213, 0.0674, 0.4102)
O (0.7213, 0.9326, 0.9102)
O (0.9009, 0.3011, 0.6508)
O (0.9009, 0.6989, 0.1508)
O (0.9108, 0.1749, 0.0923)
O (0.9108, 0.8251, 0.5923)

---

# 2
Theoretical XRD peak list
Compound: SrAl2Si2O8
Radiation: a wavelength of 1.5418 Å
Structure: a crystal structure in the Materials Project, relaxed with GGA-PBE

Largest 10 diffraction maxima, by angle, 2θ from 10° to 90°:
2theta  I/Imax
18.41  28.9
18.70  100.0
24.03  19.8
25.40  16.8
29.16  23.3
29.54  18.4
29.97  22.1
30.09  17.1
34.87  27.0
43.69  15.2

Cell: 9.4981 9.4981 10.5448 Å, 101.40 101.40 80.30°
Element x y z (fractional)
Sr (0.0537, 0.3186, 0.2241)
Sr (0.3186, 0.0537, 0.7241)
Sr (0.6814, 0.9463, 0.2759)
Sr (0.9463, 0.6814, 0.7759)
Al (0.0585, 0.1107, 0.8900)
Al (0.1107, 0.0585, 0.3900)
Al (0.2880, 0.5569, 0.4254)
Al (0.4431, 0.7120, 0.0746)
Al (0.5569, 0.2880, 0.9254)
Al (0.7120, 0.4431, 0.5746)
Al (0.8893, 0.9415, 0.6100)
Al (0.9415, 0.8893, 0.1100)
Si (0.0113, 0.7702, 0.3749)
Si (0.2298, 0.9887, 0.1251)
Si (0.2535, 0.4573, 0.9214)
Si (0.4573, 0.2535, 0.4214)
Si (0.5427, 0.7465, 0.5786)
Si (0.7465, 0.5427, 0.0786)
Si (0.7702, 0.0113, 0.8749)
Si (0.9887, 0.2298, 0.6251)
O (0.0693, 0.8667, 0.6820)
O (0.0718, 0.2176, 0.7761)
O (0.1040, 0.6087, 0.3873)
O (0.1160, 0.8704, 0.0775)
O (0.1225, 0.1852, 0.5379)
O (0.1296, 0.8840, 0.4225)
O (0.1333, 0.9307, 0.8180)
O (0.1632, 0.5317, 0.8030)
O (0.1852, 0.1225, 0.0379)
O (0.2176, 0.0718, 0.2761)
O (0.3103, 0.3718, 0.3748)
O (0.3515, 0.5679, 0.0339)
O (0.3718, 0.3103, 0.8748)
O (0.3913, 0.8960, 0.1127)
O (0.4321, 0.6485, 0.4661)
O (0.4683, 0.8368, 0.6970)
O (0.5317, 0.1632, 0.3030)
O (0.5679, 0.3515, 0.5339)
O (0.6087, 0.1040, 0.8873)
O (0.6282, 0.6897, 0.1252)
O (0.6485, 0.4321, 0.9661)
O (0.6897, 0.6282, 0.6252)
O (0.7824, 0.9282, 0.7239)
O (0.8148, 0.8775, 0.9621)